
Researchers and U.S. Army Install Self-Healing Oyster Reef Structural Concrete Modules in Florida Panhandle Bay to Protect Base

Researchers and U.S. Army Install Self-Healing Oyster Reef Structural Concrete Modules in Florida Panhandle Bay to Protect Base

# Next to the entry, the page also holds data records
-- begin --
[1]
# GeS | the Materials Project | PBE | optimized geometry
data_GeS
_chemical_formula_sum 'Ge4 S4'
_space_group_name_H-M_alt 'P 1'
_space_group_IT_number 1
_cell_length_a 10.7696
_cell_length_b 3.6659
_cell_length_c 4.4545
_cell_angle_alpha 90.00
_cell_angle_beta 90.00
_cell_angle_gamma 90.00
loop_
_space_group_symop_operation_xyz
'x,y,z'
loop_
_atom_site_label
_atom_site_type_symbol
_atom_site_fract_x
_atom_site_fract_y
_atom_site_fract_z
Ge1 Ge 0.1257 0.2500 0.1353
Ge2 Ge 0.3743 0.7500 0.6353
Ge3 Ge 0.6257 0.2500 0.3647
Ge4 Ge 0.8743 0.7500 0.8647
S1 S 0.1528 0.7500 0.4979
S2 S 0.3472 0.2500 0.9979
S3 S 0.6528 0.7500 0.0021
S4 S 0.8472 0.2500 0.5021
# Final energy, eV/atom: -4.63
# ΔE_f, eV per atom: -0.5017

[2]
# GeS | the Materials Project | PBE | optimized geometry
data_GeS
_chemical_formula_sum 'Ge2 S2'
_space_group_name_H-M_alt 'P 1'
_space_group_IT_number 1
_cell_length_a 5.9232
_cell_length_b 5.9232
_cell_length_c 3.8890
_cell_angle_alpha 90.00
_cell_angle_beta 90.00
_cell_angle_gamma 141.68
loop_
_space_group_symop_operation_xyz
'x,y,z'
loop_
_atom_site_label
_atom_site_type_symbol
_atom_site_fract_x
_atom_site_fract_y
_atom_site_fract_z
Ge1 Ge 0.1396 0.8604 0.7500
Ge2 Ge 0.8604 0.1396 0.2500
S1 S 0.3525 0.6475 0.7500
S2 S 0.6475 0.3525 0.2500
# Final energy, eV/atom: -4.59
# ΔE_f, eV per atom: -0.4575

[3]
# Sm4Ge3S12 | the Materials Project | PBE | optimized geometry
data_Sm4Ge3S12
_chemical_formula_sum 'Sm8 Ge6 S24'
_space_group_name_H-M_alt 'P 1'
_space_group_IT_number 1
_cell_length_a 11.4609
_cell_length_b 11.4609
_cell_length_c 11.4609
_cell_angle_alpha 114.82
_cell_angle_beta 114.82
_cell_angle_gamma 114.82
loop_
_space_group_symop_operation_xyz
'x,y,z'
loop_
_atom_site_label
_atom_site_type_symbol
_atom_site_fract_x
_atom_site_fract_y
_atom_site_fract_z
Sm1 Sm 0.0000 0.0000 0.0000
Sm2 Sm 0.2115 0.4348 0.9744
Sm3 Sm 0.4348 0.9744 0.2115
Sm4 Sm 0.4744 0.9348 0.7115
Sm5 Sm 0.5000 0.5000 0.5000
Sm6 Sm 0.7115 0.4744 0.9348
Sm7 Sm 0.9348 0.7115 0.4744
Sm8 Sm 0.9744 0.2115 0.4348
Ge1 Ge 0.1438 0.9692 0.3560
Ge2 Ge 0.3560 0.1438 0.9692
Ge3 Ge 0.4692 0.6438 0.8560
Ge4 Ge 0.6438 0.8560 0.4692
Ge5 Ge 0.8560 0.4692 0.6438
Ge6 Ge 0.9692 0.3560 0.1438
S1 S 0.0852 0.7960 0.1104
S2 S 0.0875 0.6338 0.3557
S3 S 0.1104 0.0852 0.7960
S4 S 0.1338 0.5875 0.8557
S5 S 0.1865 0.1898 0.3724
S6 S 0.1898 0.3724 0.1865
S7 S 0.2822 0.8842 0.8122
S8 S 0.2960 0.5852 0.6104
S9 S 0.3122 0.3842 0.7822
S10 S 0.3557 0.0875 0.6338
S11 S 0.3724 0.1865 0.1898
S12 S 0.3842 0.7822 0.3122
S13 S 0.5852 0.6104 0.2960
S14 S 0.5875 0.8557 0.1338
S15 S 0.6104 0.2960 0.5852
S16 S 0.6338 0.3557 0.0875
S17 S 0.6865 0.8724 0.6898
S18 S 0.6898 0.6865 0.8724
S19 S 0.7822 0.3122 0.3842
S20 S 0.7960 0.1104 0.0852
S21 S 0.8122 0.2822 0.8842
S22 S 0.8557 0.1338 0.5875
S23 S 0.8724 0.6898 0.6865
S24 S 0.8842 0.8122 0.2822
# Final energy, eV/atom: -5.57
# ΔE_f, eV per atom: -1.5498

[4]
# TiGeS3 | the Materials Project | PBE | optimized geometry
data_TiGeS3
-- stop --

The Rutgers-designed hybrid reef-mimicking experiment could provide protection against storm surges and coastal flooding

US Air Force officials on October 30 installed a new type of structure in the waters of the Gulf of St. Andrew, on the shores of Tyndall US Air Force Base in northwest Florida – the first section of the “self-healing” designed by Rutgers University. reef made from custom designed concrete modules and live oysters. The reef is designed to protect the base and its people from hurricanes and tidal waves.

As visitors watched, a crane lowered a segment of what would eventually become a 160-foot-wide reef composed of about 800 interlocking concrete cubes, created by Rutgers scientists with fellow collaborators from several institutions. The structures are erected in shallow water about 200 feet offshore.

The concrete provides a hard substrate that the oysters need for attachment and is specifically designed for more oysters to naturally gravitate to the structures over the next year, eventually forming “living” hybrid reefs.

The group standing around a truck holding a concrete structure
Part of the Rutgers Reefense team: (from left) Principal Scientist David Bushek, Director of the Haskins Crustacean Research Laboratory; civil engineering professor Hani Nassif; Materials Science and Engineering Professor Richard Riman; Field Researcher Jenny Shinn, Haskins Lab; Reid Holland, PhD student, Nassif Lab; Michael Ruszala, Master’s student, Nassif Lab.

Air Force officials are testing the experimental reef, funded through Refense Defense Advanced Research Projects Agency (DARPA) program to assess whether it provides adequate coastal defenses against approaching storms. The international effort involving more than 60 researchers is focused on developing self-healing, hybrid biological and engineered reef-mimicking structures to mitigate coastal flooding, erosion and storm damage that increasingly threaten infrastructure and personnel civilian and US Department of Defense.

Hurricane Michael, a Category 5 hurricane that devastated the Florida Panhandle in October 2018, destroyed Tyndall’s hangars, damaged several supersonic stealth fighters known as F-22 Raptors and left much of the base in ruins .

“This experiment will document the ability of the Reefense modules to help protect and enhance the gulf shoreline and make it more robust and resilient,” said the lead scientist. David Bushek, director of the Rutgers Haskin Shellfish Research Laboratory and professor in the Department of Marine and Coastal Sciences in the Rutgers School of Environmental and Biological Sciences (SEBS).

**These calculated crystals were left in the text by mistake**
┌──
1.
First-principles (GGA+U) data for crystalline LiCrSiO4 at its relaxed geometry, as listed in the Materials Project.

Cell: 5.5657 10.7836 10.1121 Å, 90.00 91.20 90.00°
With the nearest neighbours (Å) after each atom.
Space group P2_1/c (No. 14)
Symmetry-distinct sites (fractional):
Li (0.0946, 0.1588, 0.3292) (multiplicity 4)  3 O 2.02-2.25
Li (0.3652, 0.6172, 0.0935) (multiplicity 4)  2 O 1.99-2.10
Cr (0.1508, 0.6226, 0.5158) (multiplicity 4)  6 O 1.98-2.10
Cr (0.3399, 0.0913, 0.7679) (multiplicity 4)  5 O 1.92-2.09
Si (0.1116, 0.6027, 0.8406) (multiplicity 4)  4 O 1.63-1.70
Si (0.4040, 0.1433, 0.0826) (multiplicity 4)  4 O 1.58-1.68
O (0.0186, 0.6644, 0.6934) (multiplicity 4)  1 Si 1.70
O (0.1111, 0.0028, 0.6422) (multiplicity 4)  1 Si 1.65
O (0.1163, 0.7010, 0.9632) (multiplicity 4)  1 Si 1.63
O (0.1602, 0.0586, 0.0666) (multiplicity 4)  1 Si 1.64
O (0.3468, 0.2483, 0.1864) (multiplicity 4)  1 Si 1.58
O (0.3512, 0.5708, 0.3631) (multiplicity 4)  1 Si 1.65
O (0.3687, 0.5279, 0.8302) (multiplicity 4)  1 Si 1.65
O (0.4995, 0.6798, 0.5689) (multiplicity 4)  1 Si 1.68

Results
Crystal system: monoclinic
V: 10.835 A^3/atom
Total energy: -407.02 eV per cell
ΔE_f: -2.692 eV/atom



2.
First-principles (GGA+U) data for crystalline Li4Mn3Sn2Sb3O16 at its relaxed geometry, as listed in the Materials Project.

Cell: 11.0641 6.2798 10.0036 Å, 90.00 91.54 90.00°
With the nearest neighbours (Å) after each atom.
Space group Cm (No. 8)
Symmetry-distinct sites (fractional):
Li (0.0000, 0.0000, 0.0000) (multiplicity 2)  4 O 1.87-2.06
Li (0.0022, 0.0000, 0.5171) (multiplicity 2)  1 O 1.82
Li (0.1774, 0.5000, 0.0923) (multiplicity 2)  3 O 1.96-2.08
Li (0.3402, 0.0000, 0.6112) (multiplicity 2)  4 O 1.96-2.16
Mn (0.0773, 0.2553, 0.7893) (multiplicity 4)  6 O 2.13-2.35
Mn (0.1647, 0.0000, 0.2865) (multiplicity 2)  6 O 2.17-2.23
Sn (0.1513, 0.5000, 0.5214) (multiplicity 2)  5 O 2.02-2.18
Sn (0.3185, 0.0000, 0.9995) (multiplicity 2)  5 O 1.99-2.23
Sb (0.3232, 0.5000, 0.7849) (multiplicity 2)  6 O 1.97-2.11
Sb (0.4114, 0.2465, 0.2849) (multiplicity 4)  6 O 2.02-2.11
O (0.0148, 0.5000, 0.6518) (multiplicity 2)  1 Li 1.96, 1 Sn 2.02, 2 Mn 2.16
O (0.0693, 0.2468, 0.4011) (multiplicity 4)  1 Sb 2.07, 1 Li 2.08, 1 Sn 2.18, 1 Mn 2.21
O (0.1543, 0.0000, 0.9128) (multiplicity 2)  1 Li 1.94, 1 Sn 1.99
O (0.1779, 0.5000, 0.8967) (multiplicity 2)  1 Li 1.96, 1 Sb 1.98, 2 Mn 2.17
O (0.2467, 0.2831, 0.6537) (multiplicity 4)  1 Sb 2.06, 1 Li 2.11, 1 Sn 2.16
O (0.2659, 0.2262, 0.1594) (multiplicity 4)  1 Sb 2.02, 1 Li 2.08, 1 Sn 2.23, 1 Mn 2.23
O (0.3361, 0.5000, 0.3941) (multiplicity 2)  2 Sb 2.11, 1 Li 2.18
O (0.3402, 0.0000, 0.3949) (multiplicity 2)  2 Sb 2.07, 1 Li 2.16, 1 Mn 2.20
O (0.4041, 0.2604, 0.9056) (multiplicity 4)  1 Li 2.06, 1 Sb 2.11, 1 Sn 2.12, 1 Mn 2.27
O (0.4783, 0.0000, 0.1633) (multiplicity 2)  2 Sb 2.11, 1 Li 2.33
O (0.4802, 0.5000, 0.6971) (multiplicity 2)  1 Li 1.82, 1 Sb 1.97
O (0.4881, 0.5000, 0.1862) (multiplicity 2)  1 Li 1.87, 2 Sb 2.07

Results
└──
**End of the calculated crystals**

Concrete structure on the beach
A single Reefense module. It will be part of more than 800 interconnected modules that form the backbone of the experimental hybrid reef.

Oysters grow in groups, not as individual animals, and form natural dykes in shallow water by attaching to each other. Such organic structures are effective shoreline protectors, but can break during large storms, Bushek said. The hybrid coastline at the center of the experiment contains both man-made and natural components intentionally designed to be more sustainable without adversely affecting the marine environment.

Bushek observed the installation, along with DARPA’s Reefense program manager, Catherine Campbell, and other members of the research team.

The project builds on the historic strength of Rutgers, home to the oldest and one of the best oyster breeding programs in the world. A analysis by Chinese scientists considered the most comprehensive to date, it featured two of Rutgers’ oyster scientists as second and fifteenth in a ranking of the world’s most productive and prolific oyster researchers.

The effort also leverages faculty members’ recent innovations in materials science, hydrodynamic modeling and what scientists call “adaptive biology.” The expression refers to the ability of organisms to change in response to environmental pressures, such as warming temperatures or increasing risks of disease.

Squat and honeycombed, the two-square-foot, 450-pound modules being installed are made of a specially designed, low-carbon concrete and will be topped with disease-resistant oysters bred through genomic selection. The structures are expected to stabilize and protect shorelines more effectively than natural versions.

Like sound-absorbing cones in a soundproof room, the holes in the modules are designed to absorb and dissipate wave energy, protecting the shore below and the shallows closer to shore. The structures also force larger waves further out, further protecting the area.

A shoal of oysters on a beach
The oysters naturally congregate and will grow on a specially designed concrete structure, forming a ‘hybrid’ reef.

“We wanted to develop a functional, engineered ecological structure that would provide the strength and longevity of hard structures while facilitating the benefits provided by the organisms that colonize the modules,” Bushek said. “In doing so, we have made a lot of discoveries and advances in science and technology over the past few years. We pushed the needle a lot.”

Bushek works with Richard Rimandistinguished professor at the Rutgers School of Engineering, who is the project’s co-investigator and is leading the development of the engineered reef. Collaborating Rutgers researchers include Distinguished Professor Ximing Guo and associate professor Daphne Munroeof both Haskin Laboratory and SEBS and Hani Nassifprofessor at the School of Engineering.

Dozens of scientists and engineers from universities in the US and Australia are active participants in the collaboration.